I recently started working at a coffee shop--a dream I’ve
had since high school. Not only am I surrounded by the delicious smells and
tastes of coffee all day, but I also get to chat with some interesting people.
As each customer comes in and I make them a latte or pour them some coffee, I
ask them how their day or week is going. The overwhelming response I’ve gotten
from each and every person I’ve asked is something along the lines of, “Is it
Friday yet?” “This day is so long.” or “I can’t wait for the week to be over.”
While I totally understand this thought process and have
looked forward to the end of a particularly taxing day or week plenty of times
before, it has me wondering if all this wishing and looking is good for us. If
we are living each day counting down the hours until it’s over and counting the
days until the weekend, are we actually living our day to day lives to the
fullest? How can anyone complete present tasks and soak in the good bits of
each day if we are putting so much energy into wishing the day was over?
Some people have no choice but to stay at a job they don’t
like because of financial reasons or contracts, and that stinks, but if you’re
spending your entire workday cursing everyone in the office and hating
everything, you’re not going to do a good job. A string full of days you loathe
doing a job you hate can add up to a string full of years being unhappy, and
that’s not much of a life if you ask me.
You might not have your dream job or even a job you remotely
enjoy, but you’re there for the time being whether you like it or not. You
might as well make it as enjoyable as possible and do good work; otherwise,
what is the point?
I propose that even in the shittiest of situations, one can
focus on the goodness sprinkled throughout it to make each day grand. I haven’t
read much about the concept and practice of “mindfulness,” but from the little
I do know of it, I think this relates to it. If you do small tasks with great
intent, you will find some sort of joy in it.
Maybe you work in an office and sit in a windowless cubicle
all day typing away at your computer. Your co-workers constantly complain about
their kids and spouses, and you spend each waking moment typing away until it’s
time to go home, and then until it’s time for the weekend.
Instead of dreading each day, try focusing on the little
things in your day you can be excited about or inspired by. Pack yourself your
favorite food for lunch. Wear an accessory or color that makes you feel good.
Get yourself a delicious coffee drink halfway through your day (I know a gal
who could hook you up). Or maybe try talking to someone new at your office.
These all seem like little things, but honestly, taking time to intentionally
sprinkle some zest into your less than desirable day can help make each day a
little more special and keep you a little more motivated to work hard.
I’m all for looking forward to the joys of doing nothing on
a Saturday, or counting down to an exciting weekend trip, but I’m also for
• Calculated molecules, as found in the file:
#i
Computed, not measured: a structure of composition C4H6OS, with ωB97M-V/def2-TZVPD.

Each line ends with the Mulliken charge.
Cartesian coordinates (Å):
C1 -0.293 -1.316 -0.425  -0.77
C2 0.448 -0.809 0.810  -0.57
C3 0.061 0.165 -0.160  0.73
C4 -0.861 1.332 -0.202  -1.00
O1 2.689 0.799 0.574  -0.41
S1 1.842 -0.161 -0.164  0.12
H1 0.258 -1.936 -1.256  0.15
H2 -1.264 -1.612 -0.316  0.35
H3 0.417 -1.232 1.740  0.54
H4 -1.586 1.119 0.627  0.28
H5 -1.314 1.249 -1.207  0.29
H6 -0.395 2.403 -0.021  0.28

E_HOMO (alpha / beta) = -4.3 / -9.6 eV
E_LUMO (alpha / beta) = 0.94 / -3.03 eV
orbital gap (alpha / beta) = 5.2698 / 6.5692 eV
2S+1 = 3

#ii
Computed, not measured: a cluster of 2 separate species, C4H6OS in total, with ωB97M-V/def2-TZVPD.

Each line ends with the Mulliken charge.
Cartesian coordinates (Å):
C1 2.014 0.467 0.335  0.38
C2 1.904 -0.150 1.556  -0.90
C3 1.705 1.286 -0.592  -0.51
C4 -2.197 -0.647 -0.699  -0.01
O1 -2.850 -1.641 -1.229  -0.35
S1 -2.656 0.532 0.315  -0.27
H1 2.578 -0.088 2.436  0.30
H2 1.151 -0.912 1.688  0.27
H3 1.133 2.165 -0.377  0.24
H4 2.103 1.309 -1.604  0.23
H5 -1.212 -0.670 -1.144  0.29
H6 -3.670 -1.651 -0.686  0.34

E_HOMO (alpha / beta) = -5.8 / -9.2 eV
E_LUMO (alpha / beta) = 0.40 / -1.97 eV
orbital gap (alpha / beta) = 6.2093 / 7.2707 eV
2S+1 = 3

Which structure is the least stable? The one labeled #i.

#i
Computed, not measured: a cluster of 2 separate species, C2H6BrClP in total, with ωB97M-V/def2-TZVPD.

Each line ends with the Mulliken charge.
Cartesian coordinates (Å):
C1 -0.794 -0.568 -1.866  -0.88
C2 0.449 0.448 2.103  -0.61
P1 -1.208 -0.550 0.010  0.57
Cl1 -1.876 -2.340 0.535  -0.10
Br1 -2.889 0.850 0.037  -0.04
H1 -0.494 0.431 -2.171  0.35
H2 -1.777 -0.717 -2.494  0.35
H3 -0.050 -1.449 -2.220  0.33
H4 -0.170 1.317 2.276  0.36
H5 1.490 0.593 1.659  0.33
H6 0.328 -0.387 2.768  0.36

E_HOMO (alpha / beta) = -14.4 / -14.4 eV
E_LUMO (alpha / beta) = -6.75 / -6.75 eV
net charge = +1
orbital gap (alpha / beta) = 7.6777 / 7.6792 eV

#ii
Computed, not measured: the ion C2H6BrClP with charge +1, with ωB97M-V/def2-TZVPD.

Each line ends with the Mulliken charge.
Cartesian coordinates (Å):
C1 1.324 0.532 -0.673  -0.91
C2 -0.995 -0.172 1.252  -0.88
P1 -0.298 -0.280 -0.425  0.81
Cl1 -0.180 -2.194 -1.115  -0.11
Br1 -1.747 0.832 -1.682  -0.05
H1 1.772 -0.174 -1.483  0.34
H2 2.102 0.361 0.133  0.37
H3 1.089 1.643 -0.798  0.36
H4 -1.766 -0.837 1.147  0.35
H5 -1.211 0.773 1.816  0.38
H6 -0.090 -0.484 1.828  0.33

E_HOMO = -15.7 eV
E_LUMO = -4.84 eV
net charge = +1
orbital gap = 10.9025 eV

Which structure is the least stable? The one labeled #i.

#i
Computed, not measured: the molecule C3HNO2, with ωB97M-V/def2-TZVPD.

Each line ends with the Mulliken charge.
Cartesian coordinates (Å):
C1 -2.047 -0.041 0.000  -0.14
C2 -0.944 -0.523 0.016  -0.08
O1 0.169 -1.209 0.023  -0.23
N1 1.407 -0.590 -0.044  -0.15
C3 1.865 0.515 -0.005  0.55
O2 2.547 1.450 0.013  -0.36
H1 -2.997 0.397 -0.003  0.41

E_HOMO = -9.9 eV
E_LUMO = 0.04 eV
• The calculated molecules stop here:
having things sprinkled in your weekdays to look forward to. We don’t all have
to hate work just because that’s what tv and movies tell us we should do.
You’re in control of your life (to some extent), and you are wholly in control
of your attitude. Choose zest and make your Monday as special and cool as your